Putting the ‘Together’ in ‘Together, we can Save Them All’

NKUT 2015 impact
Big things are happening in the state of Utah, and we don’t mean puppy tours of Bryce Canyon or kitten skydiving in Salt Lake City.
By Emily Douglas

Getting to no-kill is an ambitious goal — one that won’t happen overnight. And yet, in Utah it almost feels like overnight is how quickly it’s happening. The year 2015 was a tremendous one for No-Kill Utah (NKUT), a year underscored by working together.

The proving grounds

In 2000, Best Friends organized the original coalition of animal welfare groups to address the number of pets dying in Utah animal shelters. And ever since, Utah has served as a proving ground for the collaborative lifesaving work rolling out in several other states across the nation.

From the first pet super adoptions to the first statewide legislation permitting trap-neuter-return programs, Utah has set the bar for collaborative, large-scale animal welfare efforts. And in March 2014, Best Friends formally launched the NKUT initiative, which brings together the efforts of individuals and 56 (and counting) coalition partner organizations committed to ending the killing of pets in Utah shelters by 2019. 

And, while we don’t want to jinx anything, it looks like they just might be ahead of schedule.

What “together” really means

We say, “Together, we can Save Them All” quite a bit at Best Friends. And in 2015, Utah reminded us exactly why we say it.

“2015 is the year when our coalition partners really started to embrace the idea of ‘together,’” says Sandy Nelson, manager of Best Friends’ NKUT initiative.

“This year, they went from thinking it was a great concept to wholeheartedly believing and saying: ‘Yes, we can do this. But only if we work together.’” This past year NKUT coalition partners picked up the lifesaving ball and ran with it. And they never stopped. Individual shelters and rescue organizations began proactively looking for opportunities to support and learn from one another, while acting as a collaborative unit rather than stand-alone groups.

“In the past, you might see one group partner with another here and there,” explains Sandy. “But this last year, groups were reaching out to one another and organizing multi-group events together, and doing so without prompting from us.”

For example, in August of 2015, Salt Lake County Animal Services, one of Utah’s largest county shelters, hosted “Pet-A-Palooza” and invited several other local organizations to participate. The event was a huge success, both in terms of pet adoptions and community engagement.

“We’d never done anything quite like Pet-A-Palooza before,” explains Kip Peterson, who spearheaded the event for Salt Lake County. “We extended the invitation to our partners in the community and 90 animals found homes.”

One of those animals was a lovely snowshoe cat named Storm who’d been at the shelter for some time. According to Kip, “Summer generally isn’t a great time for us to adopt out cats, but several found homes that day thanks to the event.”

After several years of successful super adoption events hosted by Best Friends, it’s become obvious that the super adoption model works and Utah’s animal welfare community is looking for opportunities to reproduce it wherever possible. In 2015 alone, NKUT coalition rescue groups found homes for nearly 26,500 pets. That’s a whopping 16 percent increase in adoptions over the year prior.

Some truly tail-wagging progress

Ask just about anybody with four paws and a cold nose, and they’ll tell you that Utah is a great state for dogs. In 2015, Utah’s save rate for dogs was 93.2 percent. That means more than 90 percent of dogs to enter Utah shelters are being saved, and a 90 percent save rate is the benchmark for no-kill. But here’s what’s even more important for you to know: Utah has been a no-kill state for dogs for the past two years.

Now, it’s all about sustaining that progress and taking it to the next level.

At shelters where dog adoptions are on the rise and the number of dogs coming in is on the decline, harder-to-place dogs, mainly those with behavioral challenges, become the focus. “Salt Lake County is pretty much at that point,” explains Sandy. Salt Lake County Animal Services has its own behavior team and works regularly with other trainers in and around the area to help support potentially adoptable dogs who just need a little extra TLC.

Keeping up with the cats

True to their feline nature, cats insist on making things a bit more challenging than the dogs — which is why large-scale community cat programs are so essential.  

Best Friends’ trap-neuter-return (TNR) programs have had an incredible impact on the number of cats entering Utah’s shelter system, and shelter-neuter-return (SNR) programs are also greatly impacting shelter outcomes throughout the state.

## Here the page breaks off for crystal structures
********
Theoretical powder diffractogram of RbUNiTe4 for Cu Kα (weighted mean of Kα1 and Kα2), from the GGA-PBE geometry in Alexandria.
Peak positions follow from Bragg's law for the DFT cell and can differ from measured ones.

Atomic structure:
Cell: 7.3122 6.2904 10.2988 Å, 90.00 106.27 90.00°
Space group P2_1/m (No. 11)
Symmetry-distinct sites (fractional):
Rb 0.2313 0.2500 0.0474 [2 per cell]
U 0.2686 0.2500 0.5535 [2 per cell]
Ni 0.2740 0.7500 0.3519 [2 per cell]
Te 0.0066 0.5013 0.6976 [4 per cell]
Te 0.4271 0.7500 0.5972 [2 per cell]
Te 0.4517 0.7500 0.1756 [2 per cell]

The 10 most intense peaks (10° ≤ 2θ ≤ 80°), in order of rising 2θ:
- 2θ = 24.8°, d = 3.595 Å, I = 51, hkl 1 0 2
- 2θ = 26.7°, d = 3.337 Å, I = 100, hkl 2 0 -2
- 2θ = 28.6°, d = 3.121 Å, I = 96, hkl 1 1 2
- 2θ = 30.3°, d = 2.948 Å, I = 54, hkl 2 1 -2
- 2θ = 31.2°, d = 2.870 Å, I = 97, hkl 1 2 0
- 2θ = 33.8°, d = 2.654 Å, I = 48, hkl 0 2 2
- 2θ = 34.3°, d = 2.616 Å, I = 52, hkl 1 2 -2
- 2θ = 38.1°, d = 2.359 Å, I = 44, hkl 2 1 2
- 2θ = 38.4°, d = 2.342 Å, I = 47, hkl 2 2 0
- 2θ = 41.2°, d = 2.192 Å, I = 45, hkl 3 1 0

----------

Diffraction record for Cs2CoAgF6. The powder diffractogram is computed, not measured: it uses DFT lattice parameters and positions (GGA+U) and Cu Ka.

Top 10 peaks for 15° ≤ 2θ ≤ 90°, low angle first:
3.167 Å, 2θ 28.17, I 100
3.146 Å, 2θ 28.37, I 48
2.580 Å, 2θ 34.77, I 13
2.255 Å, 2θ 39.99, I 17
2.225 Å, 2θ 40.55, I 34
1.833 Å, 2θ 49.75, I 19
1.821 Å, 2θ 50.11, I 38
1.584 Å, 2θ 58.26, I 20
1.408 Å, 2θ 66.40, I 18
1.199 Å, 2θ 79.99, I 11

Structure:
a = 6.2926 Å, b = 6.2926 Å, c = 9.0192 Å
α = 90.00°, β = 90.00°, γ = 90.00°
Space group I4/mmm (No. 139)
Symmetry-distinct sites (fractional):
Cs: 0.0000 0.5000 0.2500
Co: 0.0000 0.0000 0.0000
Ag: 0.0000 0.0000 0.5000
F: 0.0000 0.0000 0.2104
F: 0.2240 0.2240 0.0000

----------

(1)
Diffraction record for CdTcAg. The powder XRD pattern is computed, not measured: it uses a crystal structure in Alexandria, relaxed with PBE and copper Kα.
Kinematic intensities with the Lorentz-polarization factor, no thermal factor.

Structural model:
Lattice parameters (Å, degrees): 2.8874 2.8874 43.8146 90.00 90.00 120.00
Space group R3m (No. 160, hexagonal axes)
Symmetry-distinct sites (fractional):
Cd (0.0000, 0.0000, 0.0000) [3 per cell]
Cd (0.0000, 0.0000, 0.3963) [3 per cell]
Tc (0.0000, 0.0000, 0.1194) [3 per cell]
Tc (0.0000, 0.0000, 0.4979) [3 per cell]
Ag (0.0000, 0.0000, 0.2195) [3 per cell]
Ag (0.0000, 0.0000, 0.6084) [3 per cell]

Main lines, in order of rising 2θ (2θ from 10° to 90°):
(1 0 1), 35.97 deg, I = 19
(0 1 2), 36.16 deg, I = 25
(0 0 18), 36.92 deg, I = 55
(0 1 5), 37.40 deg, I = 29
(0 1 8), 39.62 deg, I = 85
(1 0 10), 41.58 deg, I = 100
(0 1 11), 42.69 deg, I = 24
(1 1 0), 64.55 deg, I = 38
(1 0 28), 71.05 deg, I = 18
(0 1 29), 73.16 deg, I = 12
(1 1 18), 76.76 deg, I = 34
(0 2 10), 79.77 deg, I = 14

(2)
********

Davis County Animal Care and Control, another one of Utah’s six major county shelters, has experienced what can only be described as mind-blowing change in terms of cats saved, largely in part to their recent implementation of trap-neuter-return. In 2012, Davis County’s save rate for cats was a mere 26.4 percent. Scroll forward to 2015 and the save rate for cats has jumped to 84.7 percent.

The home stretch

The decisions on where and how to invest our resources always come down to determining what will have the biggest lifesaving impact. When Best Friends first started its work in Utah, developing no-kill partnerships with the state’s six biggest shelters was the focus. Today, three of those shelters have already reached no-kill status.

With several of the major shelters now working to sustain their no-kill models, Best Friends is able to start focusing more resources on smaller shelters and the communities they serve around the state. “Throughout Utah, regular citizens are contributing to the effort in their own communities,” says Arlyn Bradshaw, executive director of Best Friends–Utah. “We ask people to adopt, spay/neuter, volunteer and donate. Utahns are answering that call and policymakers and shelters throughout the state are taking notice.”

Sandy City, for example, decided as a community that getting to no-kill is something it values and wants. The city supports TNR programs, receives community cat program vouchers, and Sandy Animal Services now sends newborn kittens to the Best Friends Kitten Nursery.

_Inserted here: data records_
1.
Pu2Ge3Pd9: computed powder diffractogram (Cu Kα X-rays), based on a structure optimized by DFT (PBE).

Most intense lines, 2θ = 15–90°, by angle:
| 2theta | I/Imax |
| --- | --- |
| 24.83 | 21 |
| 37.40 | 100 |
| 37.47 | 59 |
| 39.36 | 21 |
| 39.97 | 37 |
| 40.12 | 72 |
| 55.93 | 19 |
| 70.91 | 19 |

Structural model:
Lattice parameters (Å, degrees): 13.5335 7.7777 10.2044 90.00 116.19 90.00
Space group C2/c (No. 15)
One atom of each set of equivalent atoms:
Pu  0.1717  0.0869  0.2481 [8 per cell]
Ge  0.0857  0.2397  0.5004 [8 per cell]
Ge  0.2500  0.2500  0.0000 [4 per cell]
Pd  0.0000  0.3670  0.2500 [4 per cell]
Pd  0.0568  0.0731  0.9187 [8 per cell]
Pd  0.1002  0.4102  0.0445 [8 per cell]
Pd  0.1051  0.3185  0.7471 [8 per cell]
Pd  0.2278  0.4121  0.4271 [8 per cell]


2.
PuGe3Pd10: computed powder diffractogram (Cu Kα X-rays), based on a structure optimized by DFT (PBE).

Most intense lines, 2θ = 15–90°, by angle:
| 2theta | I/Imax |
| --- | --- |
| 32.07 | 60 |
| 35.22 | 35 |
| 37.44 | 100 |
| 40.90 | 68 |
| 42.86 | 55 |
| 48.37 | 57 |
| 63.21 | 34 |
| 74.48 | 37 |

Structural model:
Lattice parameters (Å, degrees): 12.4823 12.4823 12.4823 90.00 90.00 90.00
Space group Fm-3m (No. 225)
One atom of each set of equivalent atoms:
Pu  0.2500  0.2500  0.2500 [8 per cell]
Ge  0.0000  0.0000  0.2349 [24 per cell]
Pd  0.0000  0.1738  0.3262 [48 per cell]
Pd  0.1176  0.1176  0.1176 [32 per cell]


3.
Pu4Ge2Pd: computed powder diffractogram (Cu Kα X-rays), based on a structure optimized by DFT (PBE).

Most intense lines, 2θ = 15–90°, by angle:
| 2theta | I/Imax |
| --- | --- |
| 23.29 | 28 |
| 28.25 | 51 |
| 35.67 | 100 |
| 37.57 | 47 |
| 43.04 | 35 |
| 52.77 | 17 |
| 64.07 | 19 |
| 65.33 | 19 |

Structural model:
Lattice parameters (Å, degrees): 5.0344 5.0344 22.9142 90.00 90.00 120.00
Space group R-3m (No. 166, hexagonal axes)
One atom of each set of equivalent atoms:
Pu  0.0000  0.0000  0.1083 [6 per cell]
Pu  0.0000  0.0000  0.2655 [6 per cell]
Ge  0.0000  0.0000  0.3908 [6 per cell]
Pd  0.0000  0.0000  0.5000 [3 per cell]


4.
PuGe2Pd3: computed powder diffractogram (Cu Kα X-rays), based on a structure optimized by DFT (PBE).

Most intense lines, 2θ = 15–90°, by angle:
| 2theta | I/Imax |
| --- | --- |
| 30.47 | 30 |
| 30.85 | 29 |
| 33.47 | 24 |
| 34.68 | 41 |
| 34.91 | 100 |
| 36.33 | 21 |
| 39.16 | 25 |
| 44.95 | 47 |

Structural model:
Lattice parameters (Å, degrees): 16.8657 4.0336 10.0673 90.00 107.71 90.00
Space group C2/m (No. 12)
One atom of each set of equivalent atoms:
Pu  0.0000  0.0000  0.0000 [2 per cell]
Pu  0.1584  0.0000  0.7025 [4 per cell]
Ge  0.0411  0.5000  0.7818 [4 per cell]
Ge  0.1377  0.5000  0.4595 [4 per cell]
Ge  0.1976  0.0000  0.1332 [4 per cell]
Pd  0.0000  0.5000  0.5000 [2 per cell]
Pd  0.0408  0.0000  0.3324 [4 per cell]
Pd  0.1200  0.5000  0.2003 [4 per cell]
Pd  0.1807  0.5000  0.9670 [4 per cell]
Pd  0.2166  0.0000  0.3941 [4 per cell]

----------
_Back to the page_

Getting smaller shelters and their communities on board is a key. “A 90 percent save rate doesn’t mean every pet is automatically safe,” Sandy Nelson reminds us. “Utah still has shelters that kill healthy, adoptable animals. There is still more work to be done.”

True, but for a moment, let’s pause to celebrate NKUT’s lifesaving success. No-kill, here we come.

<<<
# 1
Rb2BaMoCl8: calculated powder diffractogram (Cu Kα, 1.54184 Å), based on DFT lattice parameters and positions (PBE).
Kinematic intensities with the Lorentz-polarization factor, no thermal factor.

Most intense lines, 15 to 90 degrees two-theta, sorted by position:
2θ/deg  I_rel
17.2  78.4
20.9  58.8
22.7  86.4
30.5  36.9
32.1  100.0
36.4  59.0
39.3  18.4
40.3  17.1
40.7  17.7
50.6  19.1

Structure:
a = 5.971 Å, b = 7.753 Å, c = 9.160 Å
α = 90.00°, β = 90.05°, γ = 101.39°
Atoms (fractional coordinates):
Rb 0.003 0.000 0.262
Rb 0.997 0.000 0.738
Ba 0.500 0.500 0.000
Mo 0.500 0.500 0.500
Cl 0.029 0.266 0.000
Cl 0.126 0.333 0.500
Cl 0.408 0.693 0.308
Cl 0.409 0.694 0.692
Cl 0.591 0.306 0.308
Cl 0.592 0.307 0.692
Cl 0.874 0.667 0.500
Cl 0.971 0.734 0.000

---

# 2
Ba5NCl5: calculated powder diffractogram (Cu Kα, 1.54184 Å), based on DFT lattice parameters and positions (PBE).
Kinematic intensities with the Lorentz-polarization factor, no thermal factor.

Most intense lines, 15 to 90 degrees two-theta, sorted by position:
2θ/deg  I_rel
15.7  16.4
24.7  74.9
28.5  100.0
28.7  44.8
33.8  15.3
40.7  47.4
40.9  46.6
48.2  17.2
50.5  18.7
50.7  14.4

Structure:
a = 7.659 Å, b = 7.659 Å, c = 8.850 Å
α = 107.28°, β = 107.28°, γ = 48.25°
Atoms (fractional coordinates):
Ba 0.000 0.000 0.000
Ba 0.351 0.351 0.146
Ba 0.353 0.353 0.705
Ba 0.647 0.647 0.295
Ba 0.649 0.649 0.854
N 0.500 0.500 0.000
Cl 0.163 0.163 0.824
Cl 0.177 0.177 0.335
Cl 0.500 0.500 0.500
Cl 0.823 0.823 0.665
Cl 0.837 0.837 0.176

---

# 3
Ba5TaN4Cl2: calculated powder diffractogram (Cu Kα, 1.54184 Å), based on DFT lattice parameters and positions (PBE).
Kinematic intensities with the Lorentz-polarization factor, no thermal factor.

Most intense lines, 15 to 90 degrees two-theta, sorted by position:
2θ/deg  I_rel
26.0  90.5
26.6  38.9
27.0  40.1
28.6  100.0
28.9  15.2
35.4  16.0
38.2  51.0
42.7  14.5
48.7  18.3
49.8  31.0

Structure:
a = 8.663 Å, b = 6.254 Å, c = 6.254 Å
α = 116.15°, β = 90.00°, γ = 90.00°
Atoms (fractional coordinates):
Ba 0.000 0.000 0.000
Ba 0.300 0.245 0.599
Ba 0.300 0.599 0.245
Ba 0.700 0.245 0.599
Ba 0.700 0.599 0.245
Ta 0.500 0.936 0.936
N 0.314 0.114 0.114
N 0.500 0.607 0.915
N 0.500 0.915 0.607
N 0.686 0.114 0.114
Cl 0.000 0.470 0.925
Cl 0.000 0.925 0.470

---

# 4
Ba3TaN3Cl2: calculated powder diffractogram (Cu Kα, 1.54184 Å), based on DFT lattice parameters and positions (PBE).
Kinematic intensities with the Lorentz-polarization factor, no thermal factor.

Most intense lines, 15 to 90 degrees two-theta, sorted by position:
2θ/deg  I_rel
18.0  9.9
24.3  10.4
27.2  20.8
27.6  34.1
28.0  100.0
31.1  20.9
38.1  11.6
44.1  14.3
45.4  9.5
49.0  18.2

Structure:
a = 15.223 Å, b = 15.223 Å, c = 6.471 Å
α = 90.00°, β = 90.00°, γ = 120.00°
Atoms (fractional coordinates):
Ba 0.000 0.200 0.000
Ba 0.000 0.800 0.500
Ba 0.159 0.469 0.427
Ba 0.159 0.690 0.927
Ba 0.200 0.000 0.000
Ba 0.200 0.200 0.500
Ba 0.310 0.469 0.927
Ba 0.310 0.841 0.427
Ba 0.469 0.159 0.427
>>>

To learn more about NKUT and find out how you can get involved, visit nkut.org.

Salt Lake City